



Introduction / 2
Aims / 3
Expectations / 3
How do we use the 5 Expectations? / 4
How do we promote positive behaviour? / 5
The Behaviour Record / 6
Behaviour Tables / 7
Managing Behaviour in the Faculty/Department / 8
When pupils are not in class / 9
Travelling to and from school / 9
Choices and consequences / 10
Cause for Concern Letter (Level 3) / 11
Cause for Concern Letter (Level 3)
Reply Slip / 12
Central Management Detention / 13
What Can You Do? / 14
Finally……… / 15


This booklet aims to provide you with key information about our behaviour management policy and procedures. We believe it is important that all parents and carers are aware of the ways in which we promote good behaviour with all pupils.

The ways in which you can work with us to promote and encourage good behaviour are also explained in this booklet. We believe that partnership between home and school is essential to ensure that pupils gain maximum benefit from their time at MeldrumAcademy and we aim to have a school community where high standards of behaviour are the norm. There is a strong connection between behaviour and learning. Good behaviour supports better learning.

We aim to have a school community where high standards of behaviour are the norm. There is a clear connection between behaviour and learning. Good behaviour supports better learning.

An atmosphere of good relationships and an ethos of positive behaviour benefits everyone –

Pupils enjoy school and make progress in achieving their potential.

Teachers can focus on teaching and learning and helping pupils with their course work.

Parents and carers can be confident that the school is a safe and supportive environment where all pupils have the opportunity to do their best.

We hope that you will find this booklet informative and useful.


The main aims of the school’s behaviour management policy are –

  • To ensure that all pupils have the opportunity to learn in the best possible circumstances
  • To ensure that the school is a safe and pleasant place for everyone at all times


In order to encourage and promote positive behaviour the school has established the 5 Expectations below.

1. Try your best

2. Show respect

3. Be prepared and be punctual

4. Be a good listener

5. Act safely

These 5 Expectations describe how the school expects everyone to behave.


Our main purpose is to enable pupils to learn. Naturally this includes learning to be successful in tests and exams but it also includes learning in many other ways. Pupils develop academic, social, practical and many other skills and knowledge while at school. MeldrumAcademy aims to prepare pupils for life in the widest possible sense.

We believe that to do this it is important to set Positive Expectations for pupil behaviour rather than have a lengthy list of ‘don’t do’ rules. Our aim is to have a school ethos where an atmosphere of good relationships predominate.

If each individual respects the 5 Expectations and accepts personal responsibility for their behaviour then this ensures that pupils and staff can work together successfully.

Pupils are regularly reminded about the Expectations in classroom situations and through assemblies. In addition Expectations posters are displayed in every classroom and elsewhere throughout the school building.

We hope that you will support our aim of ensuring that high standards of behaviour are the norm. We would appreciate your cooperation in ensuring that our pupils respect the school’s Expectations.

The ways in which we encourage positive behaviour and manage unacceptable behaviour are explained on the following pages.


The vast majority of pupils respect the 5 Expectations by behaving and working well. It is important that this is recognised. In order to do this the school has established ways of recognising and rewarding good or positive behaviour. We believe that this is as important as dealing with unacceptable behaviour.

There are two ways in which positive behaviour is recognised.

  1. Routine or informal recognition

We all feel good when we are told we have ‘done well’. Teachers like to be able to recognise the good behaviour and hard work of pupils and will acknowledge this in various ways e.g. through informal comments made directly to pupils or noted on written work and by writing comments in pupil planners or the annual reports that you receive.

Informal recognition of good behaviour is a very important part of routine in all classes.

  1. Merit Stamp system (with S1 and S2 pupils)

This system is used throughout the school with S1 and S2 pupils to recognise positive behaviour. The working of the system is very simple.

  • Each pupil is issued with a Merit Stamp card. This has space for up to twenty Merit Stamps.
  • Each teacher has a personalised ‘Merit Stamper’. This is basically a rubber stamp bearing the teacher’s name, a positive comment and a logo.
  • Every department or faculty in the school has agreed criteria for the award of Merit Stamps. These criteria include factors such as how many periods per week classes attend the subject and the nature of the course work e.g. is it practical or non-practical.
  • Teachers use their Merit Stamper to award pupils individual Merit Stamps at regular times during the school year.
  • When your son or daughter’s Merit Stamp card is full you will receive a formal letter from his or her Pastoral Care teacher that recognises this achievement.


MeldrumAcademy has been using electronic software called PPMS (Pupil Performance and Monitoring System) for writing reports etc for two years; we have recently started to use it to monitor pupil behaviour.

You will see from Table 1 on the next page that each part of the school day defaults to one point and from this points can either be added (for good behaviour/positive action) or deducted for misbehaviours.

At any point in time any member of SMT or Pastoral Care can call up a behaviour report for any pupil and get a clear picture of how that pupil has been behaving. Indeed we will be reviewing behaviour weekly and at the end of each month awarding categories such as ‘pupil of the month’ and ‘class of the month’ for each year group.

We can also call up a behaviour record to assist dialogue that we have with parents/carers regarding specific behavioural issues if they arise.

We are using the electronic system to record positive and negative behaviours and as a result reward not only the very best behaviour but also the pupils who show significant improvement.

In addition to the above, the positive points gainedby pupils are converted into house points as part of the annual House identity competition.


Pupil Name:

08/05/2007 / Morning / Uniform / 1
Registration / 1
Period 1 / 1
Period 2 / 1
Interval / 1
Period 3 / 1
Period 4 / 1
Afternoon / Lunch / 1
Period 5 / 1
Period 6 / 1

Pupil Name:

08/05/2007 / Morning / Uniform
Registration / 1
Period 1 / 2
Period 2 / 3
Interval / 1
Period 3 / 1
Period 4 / 3
Afternoon / Lunch / 1
Period 5 / 2
Period 6 / 2

Pupil Name:

08/05/2007 / Morning / Uniform / NU
Registration / 1
Period 1 / Level 1
Period 2 / 1
Interval / 1
Period 3 / Level 3
Period 4 / 1
Afternoon / Lunch / 1
Period 5 / Level 2
Period 6 / 1

No pupil can get into ‘negative points’. The most a pupil can lose is one point for each period.

Inserted here: crystal structures =
********
Density functional theory data (PBE+U) for an optimized crystal structure of Li6TiMn3P6O24.

Unit cell a=8.620 b=8.657 c=8.766 alpha=61.44 beta=61.38 gamma=61.41
Fractional coordinates of all 40 atoms:
P 0.249 0.951 0.553
O 0.388 0.184 0.016
Mn 0.643 0.640 0.646
Mn 0.855 0.857 0.854
O 0.880 0.479 0.714
O 0.544 0.308 0.094
O 0.491 0.730 0.876
O 0.762 0.555 0.397
O 0.935 0.743 0.101
P 0.956 0.552 0.252
O 0.588 0.232 0.429
Li 0.003 0.981 0.974
O 0.438 0.588 0.229
O 0.231 0.442 0.598
O 0.998 0.618 0.819
P 0.041 0.459 0.758
O 0.078 0.264 0.916
O 0.743 0.078 0.934
Ti 0.149 0.151 0.149
O 0.090 0.922 0.737
O 0.306 0.103 0.539
O 0.263 0.913 0.088
O 0.184 0.020 0.385
P 0.560 0.249 0.946
Li 0.725 0.346 0.144
P 0.459 0.756 0.049
Li 0.508 0.493 0.521
O 0.104 0.521 0.323
O 0.709 0.885 0.449
O 0.023 0.387 0.181
P 0.750 0.041 0.447
O 0.417 0.771 0.535
Li 0.153 0.714 0.346
Li 0.649 0.835 0.258
O 0.790 0.994 0.617
O 0.558 0.403 0.761
Mn 0.354 0.347 0.350
O 0.618 0.803 0.036
Li 0.343 0.153 0.719
O 0.914 0.083 0.262

Properties
space group: P1 (1)
magnetic moment: 13.00 μB per cell

Density functional theory data (PBE+U) for an optimized crystal structure of Mn4P2O9.

Unit cell a=11.706 b=6.775 c=9.653 alpha=76.19 beta=90.00 gamma=90.00
Fractional coordinates of all 60 atoms:
O 0.205 0.326 0.516
Mn 0.619 0.764 0.753
O 0.490 0.769 0.106
O 0.120 0.892 0.796
P 0.171 0.295 0.075
O 0.713 0.140 0.940
O 0.880 0.108 0.204
O 0.510 0.231 0.894
O 0.609 0.508 0.418
Mn 0.632 0.532 0.180
Mn 0.397 0.815 0.534
Mn 0.103 0.815 0.034
O 0.213 0.860 0.560
O 0.169 0.544 0.756
O 0.705 0.674 0.984
O 0.891 0.508 0.918
O 0.331 0.544 0.256
P 0.870 0.239 0.315
Mn 0.900 0.043 0.619
O 0.691 0.819 0.264
O 0.558 0.247 0.235
Mn 0.100 0.957 0.381
Mn 0.603 0.185 0.466
O 0.903 0.835 0.006
Mn 0.400 0.957 0.881
O 0.109 0.492 0.082
O 0.620 0.108 0.704
O 0.295 0.326 0.016
Mn 0.600 0.043 0.119
O 0.309 0.181 0.736
Mn 0.868 0.532 0.680
Mn 0.368 0.468 0.820
O 0.391 0.492 0.582
P 0.329 0.295 0.575
O 0.287 0.860 0.060
P 0.829 0.705 0.925
O 0.795 0.674 0.484
Mn 0.119 0.236 0.747
O 0.809 0.819 0.764
O 0.787 0.140 0.440
O 0.990 0.231 0.394
O 0.097 0.165 0.994
P 0.671 0.705 0.425
O 0.831 0.456 0.244
P 0.630 0.239 0.815
Mn 0.881 0.764 0.253
P 0.370 0.761 0.185
O 0.191 0.181 0.236
O 0.010 0.769 0.606
Mn 0.897 0.185 0.966
O 0.058 0.753 0.265
O 0.669 0.456 0.744
Mn 0.132 0.468 0.320
Mn 0.381 0.236 0.247
O 0.403 0.165 0.494
O 0.942 0.247 0.735
O 0.380 0.892 0.296
O 0.442 0.753 0.765
P 0.130 0.761 0.685
O 0.597 0.835 0.506

Properties
space group: P2_1/c (14)
magnetic moment: 80.00 μB per cell

Density functional theory data (PBE+U) for an optimized crystal structure of Ti3FeNi2P6O24.

Unit cell a=8.493 b=8.493 c=8.493 alpha=61.12 beta=61.12 gamma=61.12
Fractional coordinates of all 36 atoms:
O 0.503 0.685 0.882
O 0.330 0.113 0.485
P 0.954 0.544 0.252
O 0.882 0.503 0.685
O 0.432 0.588 0.244
O 0.819 0.017 0.603
O 0.244 0.432 0.588
P 0.544 0.252 0.954
O 0.950 0.737 0.099
P 0.453 0.753 0.048
O 0.099 0.950 0.737
********

Below is a flow chart which describes the teachers use of the level system:

Managing Behaviour in the Faculty / Department

Procedures when misbehaviour persists


During breaks and lunchtime pupils are free to spend their time in the school building or grounds.

The ‘5 Expectations’ aim to make the school a pleasant and safe place for everyone at all times so they also apply to pupil behaviour at these social times.

The cafeteria and social areas are very busy areas at break and lunchtime and it is therefore particularly important that everyone cooperates by acting safely and showing respect in these areas at these times.

Pupils may choose to leave the school building and grounds at lunchtime. Should they do this then it is very important that they behave appropriately while outside the school. If your son or daughter leaves the school premises at lunchtime it is important that you are aware that they are your responsibility.

You will be informed if we become aware of any unacceptable behaviour from your son or daughter while not on the school premises.


All pupils are expected to behave in a safe and sensible manner while on their way to and from school. Again it is particularly important that pupils ‘Act safely’ and ‘Show respect’ to others at these times.

This applies to those who walk to school as well as those who use school transport.

You will be informed of any specific concerns involving your child that may arise at these times.


Our Behaviour Management Policy aims to encourage pupils to think of their behaviour as a matter of ‘choice’ and ‘consequence’. We want pupils to realise that they must accept responsibility for how they behave and therefore for the consequences of their behaviour.

Choosing to behave in a sensible manner which respects the Expectations will have positive consequences e.g. direct praise, rewards for class and pupil of the month in each year group.

Choosing to behave in an unacceptable manner which does not respect the Expectations will have negative consequences e.g. amendment to behaviour record, letters to parents and Central Management Detention.

There are posters displayed in all classrooms or teaching areas which are designed to remind pupils of the consequences of choosing to behave well or in a manner which is unacceptable.

We aim to take every opportunity to encourage our pupils to make the right choices about their behaviour.

Colpy Road
AB51 0NT
Tel: 01651-871300
Fax: 01651-871313
Head Teacher: Andrew I Sutherland
MA (Hons), Dip. Ed, SQH

Dear Parent/Carer


Cause for Concern Letter to Parents / Carers – Level 3

At MeldrumAcademy we believe strongly that education is very much a partnership between pupil, teacher and parents/carers. The purpose of this letter is to give an early warning of concerns that we have over classroom behaviour. Today your son/daughter behaved in such a way that he/she has been placed at a Level 3 on our class management system. This involves an amendment being made to their behaviour record.

Clearly I hope that there will be no future repetition of such behaviour and that your son/daughter’s behaviour shows improvement when they are next in my class. I value your support in working with me to achieve this, and hope that you will take the time to discuss this letter with them at home.

I very much hope that your son/daughter will react positively to our joint efforts and he/she will be able to see that both you and I have his/her best interests at heart.

I would thank you in anticipation of your support and co-operation.

Yours sincerely

Signature of Teacher………………………………Date…………......

Name of Teacher………………………………….Department…......

- 2 -

The Meldrum Academy Expectations that were not met are ticked in the box on the left hand side of sheet.

1.Be prepared and be punctual.

2.Try your best.

3.Act safely.

4.Show respect.

5.Be a good listener.

Space for exemplification if appropriate.



Pupil agreement:

I agree that in the future I will make every effort to follow all of the Meldrum Academy Expectations so that both I and the rest of the class can benefit from our education.

Pupil’s Name……………………………………………….. Class …………….

Signature of Pupil…………………………………..…….……………………………...

Signature of Parent / Carer………………………………………………………………


Please return to me in room………………………………………………………...

A copy of this form will be passed to PT Pastoral Care via the school office.


MeldrumAcademyhas a Central Management Detention (CMD) system in place as a deterrent for pupils who behave inappropriately from time to time. Principal Teachers of Subject can award one day CMD. Pastoral Care and SMT can award up to five days. The amount of CMD awarded would vary depending on the misbehaviour displayed.

Any pupil placed on CMD will have had an information slip sent home to parents to inform them of this and the misbehaviour that occurred.


Central Management Detention Notification Slip

To the Parent / Carer of ______in registration class ______has been placed on ______day(s) Central Management Detention for the following reason:

Inappropriate behaviour / Please tick
Insolence / lack of respect
Not following instructions
Persistent lateness
Bullying / Intimidation
Litter issues
Not turning up for departmental payback
Inappropriate behaviour in classroom
Inappropriate behaviour in corridors
Inappropriate behaviour in social areas
Inappropriate behaviour in canteen
Other: (Please specify)

Central Management Detention runs each day from 1.00pm to 1.30pm.

Signed: ______SMT / Pastoral Care / PT Curriculum


We firmly believe that partnership with you is essential to fully support your child to make progress at school. It is very important that pupils know we are working in partnership. Your son or daughter’s Pastoral Care teacher is your key contact in the school and will be in touch with you regularly throughout your child’s school career. This will include contact on any behaviour related matters.

In order to help promote positive behaviour it would be helpful if you could –

  • Discuss and reinforce the importance of the school’s 5 Expectations with your son/daughter.
  • Ask to see your child’s planner at least once per week and sign it in the space provided. You may also use the planner as a means to communicate in writing with your child’s subject teach
  • Praise your son or daughter for trying their best, for work well done and for being enthusiastic and diligent about his/her schoolwork. Praise really does encourage and motivate pupils.
  • Contact your son or daughter’s Pastoral Care teacher if you have any concerns about behaviour, progress or any other matter.
  • Remind your son or daughter that how they behave is their choice and every choice has a consequence. Join us in encouraging them to make the right choices about their behaviour.


Our aim is to encourage and promote Positive Behaviour and we are proud of the fact that the vast majority of our pupils regularly behave very well and are a credit to the school.

We hope that by working together with you and your son or daughter, positive behaviour will be the norm, unacceptable behaviour will be avoided and any concerns that may arise can be resolved quickly and effectively.

We hope you have found this booklet to be informative and useful. Should you have any further queries or questions then please contact either your son or daughter’s Pastoral Care teacher or any member of the Senior Management Team.